Wednesday 10 August 2022



Good morning all - I am a bit late posting today.
I had two lovely days of activity with Ben so, I am not making excuses, I just had no time for computer play.

We sat in the shade on my patio on Monday with the water colours. This was Ben's plan...
"Nanny we can paint little pictures and then you can buy mine from me.
I will give you £1 if you paint four pictures for me."
"Then I will sell your pictures - probably for £1 each."

There is a business man there I think!
His rock pool picture was entirely his own work as we sat chatting in the garden - bliss.

Yesterday we had a day in Chester.
There was a magnificent Lego model of the Cathedral inside as we went to look at Pete Waterman's model railway in there. Ben bought a Lego brick to raise funds for the Cathedral and the ladies helped him put it in place and showed him where the Lego workmen were working on the tower where it would go.

He wasn't so impressed with the model railway. It was a long thin track with nowhere near as much detail as his Grandad's models. He is becoming quite the expert at seven!

So, a day of fun but with the walking and the heat - quite energy sapping.

Today I am recovering in the cool.

I hope you are managing to enjoy the sun when you can, but being sensible and keeping cool.

Have a good week.

xx Jo


  1. Well done to the budding businessman. Love his pic.
    Annie x

  2. A lovely painting. I always enjoy a trip around Chester, although we rarely Go there funnily enough. Happy WOYWW. Angela #6

  3. Go Ben!! glad you had a great time with him, his painting is fab and love his business spirit. I'm surprised about Peter Waterman's railway, I thought it would be impressive he's know as a railway nut! the Lego model sounds good fun though. Helen #3

  4. That brings back memories, not been to Chester for years. I used to teach in Wigan and often popped over there for a day out. Loving the painting. Ben is a great artist and a future Business man. Have a lovely creative woyww, Angela x9x

  5. Sounds like you and Ben have had a lot of fun together Jo. Love his business sense and his picture! Stay safe and Happy WOYWW> Sarah #12.

  6. We saw the railway layout on YouTube and thought much the same, it’s big but not that interesting! The Lego c ate herbal is a fab idea though, love that idea. Yep, Ben has the right idea, 25% mark up is a pretty good profit, lol!
    Hugs LLJ 7 xxx

  7. Hi Jo. I can't believe Ben is 7. Where did that time go? We recently had our granddaughter's for a sleepover. Lots of fun. Take care . Anne x 14 I think.

........
This entry pairs a crystal structure of Tb3DyGe4 with its simulated powder XRD pattern. Radiation: a wavelength of 1.5418 Å. Structure: a cell relaxed with GGA-PBE.
Lines closer than 0.1° are merged.

Top 10 peaks for 5° ≤ 2θ ≤ 70°, most intense first:
hkl	d_spacing	two_theta	I (rel.)
1 1 2	3.124	28.6	100
0 2 4	2.485	36.1	50
1 2 3	2.259	39.9	26
1 1 4	2.578	34.8	23
1 3 2	1.830	49.8	20
2 0 0	2.009	45.1	19
1 3 8	1.363	68.9	18
0 1 5	2.835	31.6	17
2 2 4	1.562	59.1	15
1 1 8	1.709	53.6	14

Structure:
a = 4.0172 Å, b = 6.3882 Å, c = 15.8154 Å
α = 90.00°, β = 90.00°, γ = 90.00°
Space group Immm (No. 71)
Asymmetric unit:
Tb1 0.0000 0.0000 0.0000 x2
Tb2 0.0000 0.5000 0.1958 x4
Dy1 0.0000 0.0000 0.5000 x2
Ge1 0.0000 0.3063 0.3688 x8

***

This entry pairs a crystal structure of Dy3TcGe3 with its simulated powder XRD pattern. Radiation: a wavelength of 1.5418 Å. Structure: a cell relaxed with GGA-PBE.
Lines closer than 0.1° are merged.

Top 10 peaks for 5° ≤ 2θ ≤ 70°, most intense first:
hkl	d_spacing	two_theta	I (rel.)
1 1 3	2.734	32.8	100
1 1 -4	2.698	33.2	68
3 1 2	2.250	40.1	56
0 2 0	2.116	42.7	54
3 1 -1	2.749	32.6	52
3 1 -4	2.412	37.3	41
4 0 -2	2.724	32.9	35
0 0 6	2.185	41.3	26
7 1 -3	1.461	63.7	25
3 1 -3	2.607	34.4	21

Structure:
a = 10.9033 Å, b = 4.2318 Å, c = 14.0161 Å
α = 90.00°, β = 110.73°, γ = 90.00°
Space group C2/m (No. 12)
Asymmetric unit:
Dy1 0.0219 0.0000 0.3765 x4
Dy2 0.1011 0.0000 0.9205 x4
Dy3 0.2426 0.0000 0.2305 x4
Tc1 0.2409 0.5000 0.4111 x4
Ge1 0.0450 0.5000 0.2375 x4
Ge2 0.1216 0.5000 0.0738 x4
Ge3 0.1335 0.5000 0.5453 x4

* * * * *

This entry pairs a crystal structure of MgZn3F8 with its simulated powder diffraction line list. Radiation: λ = 1.5418 Å (Cu Kα). Structure: a structure optimized by DFT (GGA-PBE).
Neutral-atom scattering factors, no anomalous dispersion.

Cell and atoms:
Unit cell a=13.0448 b=3.9452 c=6.7980 alpha=90.00 beta=107.16 gamma=90.00
Space group Cm (No. 8)
Asymmetric unit:
Mg1 0.0000 0.0000 0.0000 (multiplicity 2)
Zn1 0.1042 0.5000 0.4082 (multiplicity 2)
Zn2 0.2029 0.5000 0.9917 (multiplicity 2)
Zn3 0.4001 0.5000 0.4143 (multiplicity 2)
F1 0.0324 0.5000 0.0480 (multiplicity 2)
F2 0.0667 0.0000 0.3333 (multiplicity 2)
F3 0.1571 0.0000 0.9926 (multiplicity 2)
F4 0.1791 0.5000 0.6973 (multiplicity 2)
F5 0.2374 0.5000 0.3137 (multiplicity 2)
F6 0.3662 0.5000 0.0870 (multiplicity 2)
F7 0.4355 0.5000 0.7097 (multiplicity 2)
F8 0.4447 0.0000 0.4091 (multiplicity 2)

Principal peaks in the range 5° ≤ 2θ ≤ 70°, sorted by position:
6.495 Å, 2θ = 13.6°, I = 48, (0 0 1)
3.952 Å, 2θ = 22.5°, I = 18, (2 0 1)
3.761 Å, 2θ = 23.7°, I = 100, (1 1 0)
3.248 Å, 2θ = 27.5°, I = 41, (0 0 2)
3.202 Å, 2θ = 27.9°, I = 29, (4 0 -1)
2.840 Å, 2θ = 31.5°, I = 28, (3 1 -1)
2.173 Å, 2θ = 41.6°, I = 27, (6 0 -1)
2.165 Å, 2θ = 41.7°, I = 25, (0 0 3)
1.973 Å, 2θ = 46.0°, I = 35, (0 2 0)
1.685 Å, 2θ = 54.5°, I = 36, (7 1 -1)

***
........

  8. Oh Jo, I laughed out loud at Bens idea of bargaining, aren’t they funny? and it is a lovely painting. I loved Chester and walked around the walls and saw some lovely things popping down at various times, some nice gardens quite old from memory.
    Thanks for popping over and for Sharing, God bless and keep you safe, and all those you love, hugs Shaz in Oz.x

    {Wonderful Words of Life - Shaz in Oz}
    {Calligraphy Cards - Shaz in Oz}

  9. How lovely to spend time with Ben and he is quite the artist! Too hot for me Jo, so I have hardly done anything! Happy weekend.

  10. Just visiting now I’m back from Wales. Your Ben has his head screwed on! I saw a post on Facebook where someone paid their son $1 for every book he read - seemed a great idea. His picture was lovely.
    Enjoy your time with him
    Lynnecrafts 11

  11. Painting with Ben sounds like fun -he'll soon be a millionaire with such profits. Chester in the heat - time spent in the cool of the cathedral must have been great! Hugs, Chrisx #17


  12. Ben's painting is lovely. What an astute young businessman he is.
    We visited Chester last year and the lego cathedral. Somewhere in the model are our bricks too. It really will be something special to see when it is finished.


Thanks for all your comments. I really appreciate your thoughts and ideas.